## Material
+++
This record from Alexandria describes a geometry-optimized ZrFe12Si6 structure. The functional is PBE.

The formation energy (no corrections) comes out at -3.36 eV per formula unit.

Lattice parameters (Å, degrees): 6.5293 6.5293 6.5293 104.99 104.99 104.99
Positions (direct):
Zr (0.0000, 0.0000, 0.0000)
Fe (0.1180, 0.5000, 0.8820)
Fe (0.1180, 0.8820, 0.5000)
Fe (0.1593, 0.4201, 0.4201)
Fe (0.4201, 0.1593, 0.4201)
Fe (0.4201, 0.4201, 0.1593)
Fe (0.5000, 0.1180, 0.8820)
Fe (0.5000, 0.8820, 0.1180)
Fe (0.5799, 0.5799, 0.8407)
Fe (0.5799, 0.8407, 0.5799)
Fe (0.8407, 0.5799, 0.5799)
Fe (0.8820, 0.1180, 0.5000)
Fe (0.8820, 0.5000, 0.1180)
Si (0.2546, 0.2546, 0.7161)
Si (0.2546, 0.7161, 0.2546)
Si (0.2839, 0.7454, 0.7454)
Si (0.7161, 0.2546, 0.2546)
Si (0.7454, 0.2839, 0.7454)
Si (0.7454, 0.7454, 0.2839)



This record from Alexandria describes a geometry-optimized InCu2Pb structure. The functional is PBE.

As for the calculated formation energy: 0.25 eV/atom.

Lattice parameters (Å, degrees): 4.7536 4.7536 3.4869 90.00 90.00 90.00
Positions (direct):
In (0.0000, 0.0000, 0.0000)
Cu (0.0000, 0.5000, 0.5000)
Cu (0.5000, 0.0000, 0.5000)
Pb (0.5000, 0.5000, 0.0000)



This record from Alexandria describes a geometry-optimized TbZnSnPt3 structure. The functional is PBE.

As for the calculated formation energy: -0.57 eV/atom.

Lattice parameters (Å, degrees): 7.3020 7.3020 5.9424 90.00 90.00 133.24
Positions (direct):
Tb (0.1676, 0.8324, 0.7500)
Tb (0.8324, 0.1676, 0.2500)
Zn (0.3874, 0.6126, 0.7500)
Zn (0.6126, 0.3874, 0.2500)
Sn (0.1419, 0.8581, 0.2500)
Sn (0.8581, 0.1419, 0.7500)
Pt (0.2477, 0.2477, 0.0000)
Pt (0.2477, 0.2477, 0.5000)
Pt (0.3390, 0.6610, 0.2500)
Pt (0.6610, 0.3390, 0.7500)
Pt (0.7523, 0.7523, 0.0000)
Pt (0.7523, 0.7523, 0.5000)



This record from Alexandria describes a geometry-optimized Sr2ReTe structure. The functional is PBE.

The formation energy (no corrections) comes out at 1.53 eV per formula unit. As for the excess energy over the best structure of this formula in the dataset: 100.6 kJ/mol of formula units.

Lattice parameters (Å, degrees): 8.5233 8.5233 8.5233 30.17 30.17 30.17
Positions (direct):
Sr (0.2503, 0.2503, 0.2503)
Sr (0.7497, 0.7497, 0.7497)
Re (0.0000, 0.0000, 0.0000)
Te (0.5000, 0.5000, 0.5000)



This record from Alexandria describes a geometry-optimized Hg4Br3 structure. The functional is PBE.

The formation energy (no corrections) comes out at -0.31 eV per formula unit. As for the excess energy over the best structure of this formula in the dataset: 0.0 kJ/mol of formula units.

Lattice parameters (Å, degrees): 14.2385 14.2385 14.2385 164.85 164.85 21.49
Positions (direct):
Hg (0.0701, 0.0701, 0.0000)
Hg (0.3589, 0.3589, 0.0000)
Hg (0.6411, 0.6411, 0.0000)
Hg (0.9299, 0.9299, 0.0000)
Br (0.1950, 0.1950, 0.0000)
Br (0.5000, 0.5000, 0.0000)
Br (0.8050, 0.8050, 0.0000)



This record from Alexandria describes a geometry-optimized LiNiCl2 structure. The functional is PBE.

The formation energy (no corrections) comes out at -3.22 eV per formula unit. As for the excess energy over the best structure of this formula in the dataset: 34.7 kJ/mol of formula units.

Lattice parameters (Å, degrees): 5.2293 5.2293 5.2293 141.87 100.24 92.04
Positions (direct):
Li (0.0000, 0.0000, 0.0000)
Ni (0.5000, 0.0000, 0.5000)
Cl (0.2641, 0.5000, 0.7641)
Cl (0.7359, 0.5000, 0.2359)

* * * * *

{"formula": "MgBi2MoP", "functional": "SCAN", "state": "PBEsol geometry", "lattice_angstrom": [[5.217, 0.000, 0.000], [0.000, 5.217, 0.000], [0.000, 0.000, 5.140]], "species": ["Mg", "Bi", "Bi", "Mo", "P"], "frac_coords": [[0.000, 0.000, 0.000], [0.000, 0.500, 0.500], [0.500, 0.000, 0.500], [0.000, 0.000, 0.500], [0.500, 0.500, 0.000]], "de_polymorph_mev_per_atom": 0}
+++

## Wanted
Now count the lines further above that contain the word "over" and give the number alone.

## Done
3